# Work order
Echo everything underneath word for word.

# Material
********
1.
Diffraction record for PmGeAu4. The powder diffractogram is computed, not measured: it uses DFT lattice parameters and positions (GGA-PBE) and a wavelength of 1.5418 Å.
Peak positions follow from Bragg's law for the DFT cell and can differ from measured ones.

Principal peaks in the range 5° ≤ 2θ ≤ 70°, by intensity:
2θ (°)  I/Imax  (hkl)
30.9  100.0  1 1 2
36.6  96.2  1 5 0
35.2  78.1  2 0 0
35.6  76.3  0 4 2
50.9  55.5  2 4 2
41.7  31.5  1 1 3
45.8  22.9  1 3 3
68.1  19.3  1 9 2
64.1  19.2  3 5 0
60.5  15.2  3 1 2

Cell lengths 5.097, 13.995, 7.278 Å; angles 90.00, 90.00, 90.00 degrees
Space group Cmcm (No. 63)
Asymmetric unit:
Pm 0.000 0.119 0.250
Ge 0.000 0.366 0.250
Au 0.000 0.093 0.750
Au 0.000 0.287 0.564
Au 0.000 0.500 0.000

2.
Diffraction record for PmZn2GeAu. The powder diffractogram is computed, not measured: it uses DFT lattice parameters and positions (GGA-PBE) and a wavelength of 1.5418 Å.
Peak positions follow from Bragg's law for the DFT cell and can differ from measured ones.

Principal peaks in the range 5° ≤ 2θ ≤ 70°, by intensity:
2θ (°)  I/Imax  (hkl)
34.2  100.0  1 1 2
32.4  37.4  1 0 3
42.7  21.9  0 2 0
43.0  21.4  2 0 0
46.7  20.6  0 1 5
44.9  16.3  1 1 4
62.2  14.1  2 2 0
54.8  13.6  0 2 4
22.5  12.8  0 1 1
59.3  12.2  1 1 6

Cell lengths 4.208, 4.234, 10.967 Å; angles 90.00, 90.00, 90.00 degrees
Space group Imm2 (No. 44)
Asymmetric unit:
Pm 0.000 0.000 0.000
Zn 0.000 0.000 0.382
Zn 0.000 0.500 0.248
Ge 0.000 0.000 0.603
Au 0.000 0.500 0.746

3.
Diffraction record for PrGeAu. The powder diffractogram is computed, not measured: it uses DFT lattice parameters and positions (GGA-PBE) and a wavelength of 1.5418 Å.
Peak positions follow from Bragg's law for the DFT cell and can differ from measured ones.

Principal peaks in the range 5° ≤ 2θ ≤ 70°, by intensity:
2θ (°)  I/Imax  (hkl)
32.1  100.0  1 0 2
39.9  64.5  1 1 0
25.4  29.5  1 0 1
62.3  28.1  1 1 4
52.1  25.7  2 0 2
67.6  23.5  2 1 2
41.2  14.3  1 0 3
45.8  11.7  0 0 4
22.4  7.8  0 0 2
46.2  7.4  1 1 2

Cell lengths 4.5200, 4.5200, 7.9297 Å; angles 90.00, 90.00, 120.00 degrees
Space group P6_3mc (No. 186)
Asymmetric unit:
Pr 0.0000 0.0000 0.0000
Ge 0.3333 0.6667 0.2179
Au 0.3333 0.6667 0.7685

4.
Diffraction record for PrGe2Au6. The powder diffractogram is computed, not measured: it uses DFT lattice parameters and positions (GGA-PBE) and a wavelength of 1.5418 Å.
Peak positions follow from Bragg's law for the DFT cell and can differ from measured ones.

Principal peaks in the range 5° ≤ 2θ ≤ 70°, by intensity:
2θ (°)  I/Imax  (hkl)
34.7  100.0  1 1 2
40.1  49.5  2 0 0
41.8  30.5  1 1 3
10.0  29.5  0 0 1
69.3  27.6  3 1 2
57.9  16.9  2 2 0
58.5  12.4  2 0 4
67.3  10.1  2 0 5
40.8  8.8  0 0 4
51.7  5.5  0 0 5

Cell lengths 4.502, 4.502, 8.839 Å; angles 90.00, 90.00, 90.00 degrees
Space group P4/mmm (No. 123)
Asymmetric unit:
Pr 0.000 0.000 0.000
Ge 0.500 0.500 0.140
Au 0.000 0.000 0.500
Au 0.000 0.500 0.285
Au 0.500 0.500 0.500

* * * * *

Computed PXRD pattern
Compound: Li3Fe3P4O16
Radiation: a wavelength of 1.5418 Å
Structure: the GGA+U geometry in Alexandria
Lines closer than 0.1° are merged.

Most intense lines, 5 to 70 degrees two-theta, in order of falling intensity:
| Position (°2θ) | d (Å) | I_rel | h k l |
| --- | --- | --- | --- |
| 9.2 | 9.584 | 100.0 | 2 0 0 |
| 16.7 | 5.303 | 43.6 | 1 1 -1 |
| 32.6 | 2.746 | 35.8 | 0 2 2 |
| 14.5 | 6.114 | 35.3 | 1 1 0 |
| 16.9 | 5.253 | 32.9 | 1 1 1 |
| 19.1 | 4.657 | 20.1 | 2 0 -2 |
| 32.4 | 2.766 | 17.2 | 6 0 -2 |
| 34.3 | 2.617 | 16.9 | 0 0 4 |
| 19.6 | 4.534 | 13.3 | 2 0 2 |
| 33.3 | 2.689 | 12.7 | 6 0 2 |
| 27.1 | 3.295 | 11.6 | 5 1 0 |
| 29.3 | 3.044 | 11.1 | 1 1 -3 |

```
data_Li3Fe3P4O16
_chemical_formula_sum 'Li12 Fe12 P16 O64'
_cell_length_a 19.177
_cell_length_b 6.450
_cell_length_c 10.473
_cell_angle_alpha 90.00
_cell_angle_beta 91.83
_cell_angle_gamma 90.00
_space_group_name_H-M_alt 'C 1 2/c 1'
_space_group_IT_number 15
_space_group_name_Hall '-C 2yc'
loop_
_atom_site_label
********

# Solution
1.
Diffraction record for PmGeAu4. The powder diffractogram is computed, not measured: it uses DFT lattice parameters and positions (GGA-PBE) and a wavelength of 1.5418 Å.
Peak positions follow from Bragg's law for the DFT cell and can differ from measured ones.

Principal peaks in the range 5° ≤ 2θ ≤ 70°, by intensity:
2θ (°)  I/Imax  (hkl)
30.9  100.0  1 1 2
36.6  96.2  1 5 0
35.2  78.1  2 0 0
35.6  76.3  0 4 2
50.9  55.5  2 4 2
41.7  31.5  1 1 3
45.8  22.9  1 3 3
68.1  19.3  1 9 2
64.1  19.2  3 5 0
60.5  15.2  3 1 2

Cell lengths 5.097, 13.995, 7.278 Å; angles 90.00, 90.00, 90.00 degrees
Space group Cmcm (No. 63)
Asymmetric unit:
Pm 0.000 0.119 0.250
Ge 0.000 0.366 0.250
Au 0.000 0.093 0.750
Au 0.000 0.287 0.564
Au 0.000 0.500 0.000

2.
Diffraction record for PmZn2GeAu. The powder diffractogram is computed, not measured: it uses DFT lattice parameters and positions (GGA-PBE) and a wavelength of 1.5418 Å.
Peak positions follow from Bragg's law for the DFT cell and can differ from measured ones.

Principal peaks in the range 5° ≤ 2θ ≤ 70°, by intensity:
2θ (°)  I/Imax  (hkl)
34.2  100.0  1 1 2
32.4  37.4  1 0 3
42.7  21.9  0 2 0
43.0  21.4  2 0 0
46.7  20.6  0 1 5
44.9  16.3  1 1 4
62.2  14.1  2 2 0
54.8  13.6  0 2 4
22.5  12.8  0 1 1
59.3  12.2  1 1 6

Cell lengths 4.208, 4.234, 10.967 Å; angles 90.00, 90.00, 90.00 degrees
Space group Imm2 (No. 44)
Asymmetric unit:
Pm 0.000 0.000 0.000
Zn 0.000 0.000 0.382
Zn 0.000 0.500 0.248
Ge 0.000 0.000 0.603
Au 0.000 0.500 0.746

3.
Diffraction record for PrGeAu. The powder diffractogram is computed, not measured: it uses DFT lattice parameters and positions (GGA-PBE) and a wavelength of 1.5418 Å.
Peak positions follow from Bragg's law for the DFT cell and can differ from measured ones.

Principal peaks in the range 5° ≤ 2θ ≤ 70°, by intensity:
2θ (°)  I/Imax  (hkl)
32.1  100.0  1 0 2
39.9  64.5  1 1 0
25.4  29.5  1 0 1
62.3  28.1  1 1 4
52.1  25.7  2 0 2
67.6  23.5  2 1 2
41.2  14.3  1 0 3
45.8  11.7  0 0 4
22.4  7.8  0 0 2
46.2  7.4  1 1 2

Cell lengths 4.5200, 4.5200, 7.9297 Å; angles 90.00, 90.00, 120.00 degrees
Space group P6_3mc (No. 186)
Asymmetric unit:
Pr 0.0000 0.0000 0.0000
Ge 0.3333 0.6667 0.2179
Au 0.3333 0.6667 0.7685

4.
Diffraction record for PrGe2Au6. The powder diffractogram is computed, not measured: it uses DFT lattice parameters and positions (GGA-PBE) and a wavelength of 1.5418 Å.
Peak positions follow from Bragg's law for the DFT cell and can differ from measured ones.

Principal peaks in the range 5° ≤ 2θ ≤ 70°, by intensity:
2θ (°)  I/Imax  (hkl)
34.7  100.0  1 1 2
40.1  49.5  2 0 0
41.8  30.5  1 1 3
10.0  29.5  0 0 1
69.3  27.6  3 1 2
57.9  16.9  2 2 0
58.5  12.4  2 0 4
67.3  10.1  2 0 5
40.8  8.8  0 0 4
51.7  5.5  0 0 5

Cell lengths 4.502, 4.502, 8.839 Å; angles 90.00, 90.00, 90.00 degrees
Space group P4/mmm (No. 123)
Asymmetric unit:
Pr 0.000 0.000 0.000
Ge 0.500 0.500 0.140
Au 0.000 0.000 0.500
Au 0.000 0.500 0.285
Au 0.500 0.500 0.500

* * * * *

Computed PXRD pattern
Compound: Li3Fe3P4O16
Radiation: a wavelength of 1.5418 Å
Structure: the GGA+U geometry in Alexandria
Lines closer than 0.1° are merged.

Most intense lines, 5 to 70 degrees two-theta, in order of falling intensity:
| Position (°2θ) | d (Å) | I_rel | h k l |
| --- | --- | --- | --- |
| 9.2 | 9.584 | 100.0 | 2 0 0 |
| 16.7 | 5.303 | 43.6 | 1 1 -1 |
| 32.6 | 2.746 | 35.8 | 0 2 2 |
| 14.5 | 6.114 | 35.3 | 1 1 0 |
| 16.9 | 5.253 | 32.9 | 1 1 1 |
| 19.1 | 4.657 | 20.1 | 2 0 -2 |
| 32.4 | 2.766 | 17.2 | 6 0 -2 |
| 34.3 | 2.617 | 16.9 | 0 0 4 |
| 19.6 | 4.534 | 13.3 | 2 0 2 |
| 33.3 | 2.689 | 12.7 | 6 0 2 |
| 27.1 | 3.295 | 11.6 | 5 1 0 |
| 29.3 | 3.044 | 11.1 | 1 1 -3 |

```
data_Li3Fe3P4O16
_chemical_formula_sum 'Li12 Fe12 P16 O64'
_cell_length_a 19.177
_cell_length_b 6.450
_cell_length_c 10.473
_cell_angle_alpha 90.00
_cell_angle_beta 91.83
_cell_angle_gamma 90.00
_space_group_name_H-M_alt 'C 1 2/c 1'
_space_group_IT_number 15
_space_group_name_Hall '-C 2yc'
loop_
_atom_site_label